February 24, 2010

#3 Idiots 4 Thumbs up, bebioo!

All izz well, All izz well..

There you goo, another inspiring movee. yap 3Idiots cast si mas ganteng Aamir Khan n si mbak Kareena Kapoor.

Movie review: The movie begin with two friends on a quest their long lost buddy, they begin the long journey to find this buddy which encounter a long forgotten bet when they were in engineering college. Their long lost buddy; Ranchodas shamalas chancad (kalo ga sala ni tulisannya, itu si mas ganteng Aamir Khan yg peranin) who has unique ways in every single things he did n inspiring them as well (uuhh gemesss!) . 3 diffrent people (Rancho, Raju and Farhan) in diffrent perspective have to face ups and downs in their life after they meet Rancho in college, yup after 4 years took a school of engineering their life are change for forever because of this buddy! hmmm.. really, this is a comedy movie of ideas that provocative as it is funny, packed with romance, thrill, sad story, wildly entertaining, insightful, hhm wat else, u name it, all is there. Talks about the most important of human pursuits and self actualization. Mantepp! Must watch movie only in Blitz Megaplex Pacific Place. U know guys, i never write the movie review before honestly, this is the first movie that i have in mind and i feel so layaak to have my review. (soook amet sihh!)

Here, here.. listen to two of their soundtrack its coooll (wlopun agak2 gmn gitu ya klo mengumandangkan lagu indiahee) but really, i like this soong is very muchoo and this soong too. :))

U gotta be feel regret if u missed this movie. For myself i watched this twice already and heading to the third time, perhaps. First time i almost run out of the seat in theatre as i was in 3rd row, the 2nd time as i dont want to drummed into watch by carried my head up for 3 hour lasts so i expect to get the upper row, but its all over again, yup even worst i got the 2nd row this time. haha. but no probs as long as i can see Aamir Khan much closer. fufufuhh! i tell u sumting, the 2nd time, i watch movie with cimoon after i kompor2in abt the movie he endup to watch it, hihi. i know, i know i've been so annoy last nite since during 3 hrs movie i just starring at the big screen n amazed aamir's performance, hehe. pulang dari bioskop langsung sakit mata kiri kanan entah apa dan knapah.. :p
Well eniweii u, yess uuu.. watch this movie yak!

February 23, 2010

The Most Expensive One!!

Ga ush pake bak-bik-buk lsg aja ya. pekan lalu ada seorang sales dari sbuah hotel terkemuka dtg ke kantor guna menawarkan fasilitas hotelnya buat para tetamu kantor saya, sebut saja hotel terkemuka yg berada di bilangan Jakarta Pusat titek. Awal mula dia mempresentasikan about hotel room facilities nyah pembicaraan berkembang tanya2 ttg personal thingy which was "sudah jadi merit blum mba?" emg sih beberapa bln yg lalu sales ini memang sempet mampir ke kantor dan menawarkan hal serupa lalu iseng pny iseng saya tny2 ttg penggunaan hotel ballroom nya dan dgn proaktifnya dia berbicara ttg ke-luxury-an hotel nya tersebut blah blah, yada-yada, endebra-endebreh.. hingga smp pertemuan kemarin dia memfollow up hal serupah dgn basabasi nanya "udh jd merit blm mba?"

lantang aku jawab; "belum nih, insyaAllah tahun ini.."
lalu desse nanya lg "gimana tertarik ga pakai ballroom kita nih?"
saya blg; "engga deh, udh dapet tempatnya."
sales: "waa sayangg bgt yah pdhl klo pake ballroom kita bs jd unforgetable wedding moment" (dalam hati: ni orang ngeledek or am i look that wealthy? hihihi),
singkat cerita aku tanya lg ke dia "emg brapaan paket weddingnya?" *curious jg lama2*
sales: "aku ta' kasih harga spesial buat mba deh"
saya: "iya berapa kira2, biar saya ada bayangan"
sales: "kurang lebih buffetnya minimal 300-400jt-an"
saya: (pura2 pingsan kynya mendingan deh sambil mesem2..hehe),

she said 400jtan mmphhh.. 499jt jg masi disebut 400jt-an bukan? blom lg dia nambahin, itu buffetnya aja ya..blom dekor tp ga ush dekor yg terlalu rame soalnya ballroom nya jg udh cantik kok! yeeaa riteee. iya degh mbak, sdh barang pasti i wont spend bout 400jt an juga buat 4hrs activities, mending buat umroh ato pergi haji ketauan ato ngasi makan orang2 ga mampu lebih keliatan guna-nya daripade-daripade. Conclusion, sepertinya dia sungguh2 salah-salah alamat deh kynya promosiin tu ballroom ke gua. hihi..

After a while aku coba cari2 dari uncle google, dan emg bener ternyata eh ternyata emg ni hotel termahal buat pemakaian ballroom nya above hotel m***a, r**z ecetra..ecetra. huhuy. But, thanks for the offer ya mba, mdh2an lekas dapet calon client yg ga kaya gua lagi dikemudian hari.. hihi :)

February 15, 2010

PMS (Pre-Marital Syndrome) :((

Emg ya, yg namanya PMS ga pernah enak kepanjangannya, klo cewe2 tiap blnnya dpt pre-menstruation syndrome, skrg guaa lg pre-marital syndrome hhrrr.. ga enak! pls get me rid of these..

Hari ini emosional, ke sensitifan neng mocin kembali bergejolak, krn ada hal2 tertentu yg membuat akuh merasa sedih.. se-sedih2nya, sdh hampir give-up sm all about wedding thingy.. Ya Allah, beri kami kekuatan ya Allah, mdh2an kami bs melalui smua cobaan yg sdg kmi hadapin ini skaligus mdh2an ini adalah cobaan yg engkau berikan dan bukan azab untuk kami ya Rob..

Beneran nih, sore ini hujan sederas2nya as heavy as my teardrops that keep fallin :(

Pls God, show us the rite way as i believe that you never leave us alonee..

February 12, 2010

Horeeey horey Cimoon come home!!

Have a safe flt dearyyy and see you in next couple hrs in Jakarta!
yippppii.. :))

February 11, 2010

Superr Duperr Quickie HunMoon Plan!

Yeaaa.. i guess the title quite tells you already.

Hmm... let me tell u sumting, our holy matrimony, wedding reception will be beres about 3 days before ramadhan month hmm! quite clear how is the hun moon will gonna be thou! yup, we only have 2,5days to go for hunimun this time before puasa, i mean real hun moon; go somewhere with beautiful, fabulous view, where we can we hold our hand, hug and kiss each other (oooooppss!), staring sunrise and sunset together, walk by on the beach in the morning before n after sun which we cant do during ramadhan month, huh? (bisa batal puasa sayah!), In that case we still, well actually Me still insist to go somewhere just together for hunimun right after we married, but am not choose any places that have a lot of nature view for instance like lombok, bali, phuket and so on. I planned (i say my plan coz this is absoulutely not cimon's idea as he preferred we go after lebaran n me? ga mauuuu keburu basi momentnya :p, nanti hbs lebaran kitah pergi lagi yah cimooong). I surf candidates of the city that we are going to visit. In my random thought i'd love to see Brisbane, KL and Singapore to spend our quickie hun moon (i know i know its too usual, but to be honest this is going to b the first moment we spend puasa's day outside country n just be together, ahhaaa!)

First of all, i book the airplane, i got the Air Asia fare that really really cheap! guess how much it cost for CGK-KL-CGK? its only 900thou rups for two pax! mureee sess. I take it!. Secondly, search the hun moon package; as i mention earlier that this is goin to b the quickest hun moon so i plan to go to Genting highland for the first 2 days (enjoying the fresh air in the highland before puasa :p) after 2,5days in Genting we'll spend the rest of the day in other cities. We will b having teraweh in overseas's mosque for some days, that shud be cool, huh?! hehe. Am still look thru some packages that can attract me in and out (in and out means i shud love to see the contain in the package as well as love to see the price, hehe!) Eniweii, baidewei, in some webs, various package available which quite alot to pick! soo .. happy hunting for all the bridezilla and gudlak! :)

Ayook cimooon, kita hunting2 lg buat hunmoon pasca lebaran, hehe! *sedikit maksa nih*

February 8, 2010

These calculated crystals were left in the text by mistake
~~~
Material: Cs3Nd3UO8
Method: DFT, PBE
State: relaxed

a b c (Å): 8.266 8.266 8.266
angles (deg): 52.44 52.44 52.44
Positions (direct):
1 Cs 0.000 0.500 0.500
2 Cs 0.500 0.000 0.500
3 Cs 0.500 0.500 0.000
4 Nd 0.000 0.000 0.500
5 Nd 0.000 0.500 0.000
6 Nd 0.500 0.000 0.000
7 U 0.500 0.500 0.500
8 O 0.220 0.220 0.220
9 O 0.244 0.704 0.704
10 O 0.296 0.296 0.756
11 O 0.296 0.756 0.296
12 O 0.704 0.244 0.704
13 O 0.704 0.704 0.244
14 O 0.756 0.296 0.296
15 O 0.780 0.780 0.780

Summary:
- M_tot: 1.8 Bohr magnetons per cell
- Formation energy from raw total energies: -2674 meV per atom
- Calculated volume: 21.9 A^3/atom

----------

1.
NbHgOsO6: relaxed, PBE.

```
NbHgOsO6
1.0
-3.6384 3.7499 5.2525
3.6384 -3.7499 5.2525
3.6384 3.7499 -5.2525
Nb Hg Os O
2 2 2 12
Direct
0.0000 0.0000 0.0000 Nb
0.5000 0.0000 0.5000 Nb
0.3396 0.5896 0.7500 Hg
0.6604 0.4104 0.2500 Hg
0.0000 0.0000 0.5000 Os
0.0000 0.5000 0.0000 Os
0.0542 0.3201 0.1179 O
0.0542 0.9364 0.7341 O
0.0590 0.3090 0.7500 O
0.2977 0.0636 0.6179 O
0.2977 0.6799 0.2341 O
0.3078 0.0578 0.2500 O
0.6922 0.9422 0.7500 O
0.7023 0.3201 0.7659 O
0.7023 0.9364 0.3821 O
0.9410 0.6910 0.2500 O
0.9458 0.0636 0.2659 O
0.9458 0.6799 0.8821 O
```

Values from the calculation:
E_tot in eV/atom: -7.0647
Space-group type: Imma, No. 74



2.
NbHgP2O: relaxed, PBE.

```
NbHgP2O
1.0
5.0050 0.0000 0.0000
0.0000 5.0050 0.0000
0.0000 0.0000 3.9062
Nb Hg P O
1 1 2 1
Direct
0.0000 0.0000 0.0000 Nb
0.5000 0.5000 0.5000 Hg
0.0000 0.5000 0.0000 P
0.5000 0.0000 0.0000 P
0.0000 0.0000 0.5000 O
```

Values from the calculation:
Energy above the most stable polymorph in this dataset in meV per atom: 0
Space-group type: P4/mmm, No. 123



3.
NbHgP2O8: relaxed, PBE.

```
NbHgP2O8
1.0
4.4657 -2.6601 0.0000
4.4657 2.6601 0.0000
-1.1319 0.0000 8.5548
Nb Hg P O
1 1 2 8
Direct
0.0000 0.0000 0.0000 Nb
0.0000 0.0000 0.5000 Hg
0.3178 0.3178 0.7978 P
0.6822 0.6822 0.2022 P
0.1824 0.6522 0.8480 O
0.1879 0.1879 0.9034 O
0.2621 0.2621 0.6254 O
0.3478 0.8176 0.1520 O
0.6522 0.1824 0.8480 O
0.7379 0.7379 0.3746 O
0.8121 0.8121 0.0966 O
0.8176 0.3478 0.1520 O
```

Values from the calculation:
E_tot in eV/atom: -7.0685
Space-group type: C2/m, No. 12



4.
NbHgPO6: relaxed, PBE.

```
NbHgPO6
1.0
5.0707 0.0000 0.0000
-2.5354 4.3914 0.0000
0.0000 0.0000 4.9475
Nb Hg P O
1 1 1 6
Direct
0.0000 0.0000 0.0000 Nb
0.6667 0.3333 0.5000 Hg
0.3333 0.6667 0.0000 P
0.0665 0.3738 0.1999 O
0.0665 0.6927 0.8001 O
0.3073 0.3738 0.8001 O
0.3073 0.9335 0.1999 O
0.6262 0.6927 0.1999 O
0.6262 0.9335 0.8001 O
```

Values from the calculation:
E_tot in eV/atom: -6.7619
Space-group type: P312, No. 149

----------

The following is a DFT calculation (GGA-PBEsol) of an optimized crystal structure of CrSb2Ru.

Values from the calculation:
~~~


Huaaaaa.. (nangisss bombaiiii...)

Kali ini moment terlama di tinggal cimooon. Hampir 4 pekan nih ga bersua, cm bisa ngobrol lwt je-jaringan teli-teliii dan jaringan maya. Kerjaan cimoon tampak panjaaangg dan lamaaa, stiap mlm dia cerita apa ajaa yg sdh dia kerjain seharian penuh walopun ga terlalu ngerti2 amat but really i can feel that he's getting weary day-by-day, working 24/7 everyday, well, not really 24hrs, most of the day he start at 8am-8pm BUT the good thing is he s gain his weight n he s getting endut! kok bisa yaa? mungkin karna jauh dari saya, hihi.

Between two parts of the page: materials data
First-principles (PBE) data for BaZr2Cd after structural relaxation, as listed in OQMD.

Cell lengths 7.607, 7.607, 7.607 Å; angles 90.00, 90.00, 90.00 degrees
Space group F-43m (No. 216)
Inequivalent atoms, fractional coordinates:
Ba  0.000  0.000  0.000 x4
Zr  0.000  0.000  0.500 x4
Zr  0.250  0.250  0.750 x4
Cd  0.250  0.250  0.250 x4

Results
The value obtained for the total energy is -0.16681 hartree per atom. The value obtained for the density is 6.5 g/cm³. The total magnetization comes out at 7.68 μB/cell.

First-principles (PBE) data for Ho2Be2SiSn after structural relaxation, as listed in OQMD.

Cell lengths 4.0217, 4.0217, 8.1352 Å; angles 90.00, 90.00, 120.00 degrees
Space group P-6m2 (No. 187)
Inequivalent atoms, fractional coordinates:
Ho  0.0000  0.0000  0.2378 x2
Be  0.3333  0.6667  0.0000 x1
Be  0.6667  0.3333  0.5000 x1
Si  0.6667  0.3333  0.0000 x1
Sn  0.3333  0.6667  0.5000 x1

Results
The value obtained for the total energy is -0.17822 hartree per atom. The value obtained for the density is 7.2 g/cm³. The total magnetization comes out at 0.00 μB/cell.

First-principles (PBE) data for LuAg after structural relaxation, as listed in OQMD.

Cell lengths 6.382, 6.382, 6.382 Å; angles 90.00, 90.00, 90.00 degrees
Space group F-43m (No. 216)
Inequivalent atoms, fractional coordinates:
Lu  0.000  0.000  0.000 x4
Ag  0.250  0.250  0.250 x4

Results
The value obtained for the density is 7.2 g/cm³. The total magnetization comes out at 0.00 μB/cell. The value obtained for the energy relative to the elements is 467 meV per atom.

Which of these has the lowest density? BaZr2Cd

----------

Entry from OQMD via LeMat-Bulk: a relaxed Gd2HoCo2B2P3 crystal (PBE).

Results
- Mass density: 7.20 Mg/m³
- Total DFT energy (no corrections): -66.563 eV for the cell shown

Geometry as POSCAR:
```
Gd2HoCo2B2P3
1.0
-1.939 1.939 10.910
1.939 -1.939 10.910
1.939 1.939 -10.910
Gd Ho Co B P
2 1 2 2 3
Direct
0.138 0.138 0.000
0.862 0.862 0.000
0.500 0.500 0.000
0.250 0.750 0.500
0.750 0.250 0.500
0.285 0.285 0.000
0.715 0.715 0.000
0.000 0.000 0.000
0.375 0.375 0.000
0.625 0.625 0.000
```

---

Entry from OQMD via LeMat-Bulk: a relaxed La2GdCo2B2N3 crystal (PBE).

Results
- Mass density: 7.70 Mg/m³
- Total DFT energy (no corrections): -77.663 eV for the cell shown

Geometry as POSCAR:
```
La2GdCo2B2N3
1.0
-1.835 1.835 9.880
1.835 -1.835 9.880
1.835 1.835 -9.880
La Gd Co B N
2 1 2 2 3
Direct
0.129 0.129 0.000
0.871 0.871 0.000
0.500 0.500 0.000
0.250 0.750 0.500
0.750 0.250 0.500
0.303 0.303 0.000
0.697 0.697 0.000
0.000 0.000 0.000
0.378 0.378 0.000
0.622 0.622 0.000
```

---

Entry from OQMD via LeMat-Bulk: a relaxed NdGd2Co2B2N3 crystal (PBE).

Results
- Mass density: 8.40 Mg/m³
- Total DFT energy (no corrections): -77.784 eV for the cell shown

Tp, Aseli yah, ga ada si cimoon saya jadi maless bgt sejadi-jadinya ngapa2in, jmt kemarin nginep di apartmen temen sampai sabtu siang, cuma ngobrol2 gossip2 dan cm duduk di sofa yg cozy hingga malas bgt angkat badan, siangnya diajakin ke salon malah pilih pulang ke rmh en ngelanjutin bobo alhasil, saturday nite cuma bobo-makan-nonton di kamar (ahhh semacam kepompong saja aku nih!). Minggu pagi berencana liat2 kebaya tp lagi2 ku-urungkan niat ku n memilih bobo n nonton sehariann, sore harinya kebetulan 2 bumil ku (ennoche n ipu) deliver babies near in the same time, ga ada alesan buat tak ku besuk, lalu mandi lah saya sesampainya disana liat2 baby, ngobrol2, gossip2, abis itu pulang dan siap2 bobo. Sebelum bobo, my weekend's review; "ooow sh*t i missed 2 weekends without takin care bout any wedd stuffs even one!" ooohh cimoon lekas lah plg, and boost my mood up buat ngurus2in our wedd stuffs.. (hihi..alesaann!) en yak! sepertinya doaku akan terkabulkan, kalau engga ada halang merintang hari selasa or rabu this wik cimoon pulang, horeeeee!! cant wait to see youuuu my-baby-bala-bala-blum-blum-yada-yada! :p

February 4, 2010

== Records of crystals, as found in the file ==
~~~
Entry 1:
Computed, not measured: crystalline CsLa3Cd at its relaxed geometry at the PBE-GGA level of DFT.

abc: 6.2105 6.2105 6.2105
angles: 90.00 90.00 90.00
Closest atoms and distances in Å follow each position.
Fractional positions:
Cs1 0.0000 0.0000 0.0000  12 La 4.39
La1 0.0000 0.5000 0.5000  2 Cd 3.11
La2 0.5000 0.0000 0.5000  2 Cd 3.11
La3 0.5000 0.5000 0.0000  2 Cd 3.11
Cd1 0.5000 0.5000 0.5000  6 La 3.11

Properties
Energy of formation, meV per atom: 406
Crystal system: cubic
Distance to the lowest polymorph of the same formula, eV per formula unit: 0.00
VASP energy, eV per atom: -2.904
M_tot, μB per atom: 0.1763
Calculated volume, Å³ per cell: 239.5

Entry 2:
Computed, not measured: crystalline Al2TeP at its relaxed geometry at the PBE-GGA level of DFT.

abc: 5.2877 5.2877 6.2308
angles: 120.88 120.88 41.23
Closest atoms and distances in Å follow each position.
Fractional positions:
Al1 0.1502 0.1502 0.3024  2 P 2.48
Al2 0.8498 0.8498 0.6976  2 P 2.48
Te1 0.5000 0.5000 0.5000  6 Al 2.97-3.03, 2 P 3.12
P1 0.5000 0.5000 0.0000  4 Al 2.48

Properties
E_form (uncorrected), kJ per mole of atoms: 8.1
Crystal system: monoclinic
Distance to the lowest polymorph of the same formula, eV per formula unit: 1.46
VASP energy, eV per atom: -3.925
M_tot, μB per atom: 0.0000
Calculated volume, Å³ per cell: 96.0

~~~~~

This record from Alexandria describes CuAg2MoIr at its PBEsol-relaxed geometry. The functional is SCAN.

Properties
DFT total energy (eV/atom): -34.943
E_form (eV/f.u.): 9.20

a = 4.969 Å, b = 4.969 Å, c = 4.542 Å
α = 90.00°, β = 90.00°, γ = 90.00°
Sites, in units of the cell vectors:
Cu 0.000 0.000 0.000
Ag 0.000 0.500 0.500
Ag 0.500 0.000 0.500
Mo 0.500 0.500 0.500
Ir 0.500 0.500 0.000

=====

This record from Alexandria describes BaHfS3 at its PBEsol-relaxed geometry. The functional is SCAN.

Properties
DFT total energy (eV/atom): -28.308
E_form (uncorrected) (eV/atom): -2.087

a = 8.613 Å, b = 3.822 Å, c = 14.272 Å
α = 90.00°, β = 90.00°, γ = 90.00°
Sites, in units of the cell vectors:
Ba 0.067 0.250 0.174
Ba 0.433 0.750 0.674
Ba 0.567 0.250 0.326
Ba 0.933 0.750 0.826
Hf 0.162 0.750 0.441
Hf 0.338 0.250 0.941
Hf 0.662 0.750 0.059
Hf 0.838 0.250 0.559
S 0.025 0.750 0.604
S 0.172 0.750 0.004
S 0.216 0.250 0.788
S 0.284 0.750 0.288
S 0.328 0.250 0.504
S 0.475 0.250 0.104
S 0.525 0.750 0.896
S 0.672 0.750 0.496
S 0.716 0.250 0.712
S 0.784 0.750 0.212
S 0.828 0.250 0.996
S 0.975 0.250 0.396

=====

This record from Alexandria describes Ga2POsRu at its PBEsol-relaxed geometry. The functional is SCAN.

Properties
DFT total energy (eV/atom): -28.881
E_form (eV/f.u.): 5.39

a = 4.590 Å, b = 4.590 Å, c = 4.653 Å
α = 90.00°, β = 90.00°, γ = 90.00°
Sites, in units of the cell vectors:
Ga 0.000 0.500 0.000
Ga 0.500 0.000 0.000
P 0.000 0.000 0.500
Os 0.500 0.500 0.500
Ru 0.500 0.500 0.000

=====

In Å³ per atom, the calculated volume values for the records above are, in order, 22.4 23.5 19.6.

~~~~~
~~~

Invitation Card? How is gonna be look like?

How is gonna be look like?

To be perfectly honest i dont like to have pricey invitation card, not to mention it wont be necessary, really! after receive the cards they read thru all the dates, venue, bride n groom name n throw into the trash bin anyway, so why we spend 10-20thou ruph for one piece cards that will be endup in trash bin? No way!!

Parents: "the invitation is the "first impression stuff" if we use good quality so we will pleased people that we invited"
Me: (dalam hati) "hell yeah! wats a matter? its only about the piece of paper that will goes to trash bin"

Well, well parent is parent..kata org2; klo ngelawan nanti kuwalat kaya malin kundang. ok ok.. The most important thing that they want to use good quality n for me the cheapest one will go! then i said; ur wish in my command, Mom!. We went to pasar tebet, again there s no card that can attract my eyes most in this pasar, all are just soo plain to see n the bad things is they dont know what kind models that i really want, i dont like to use hard cover n si mbak penjual said "oohh..kalo kaya gitu kaya contoh undangan batak dong yah?" Me: excuse me, mbak? batak? No No..bukan, hedehh (pusing sendiri!) .Do they think only bataknesse that can use that kind of card, huh? Hmmh.. well, i dont give up, i surfed some web n find invitation model that more-or-less closer to my thought but again.. subject to parent's approval. huhu.. this below are just inspirational board how is the invitation gonna be look like (note: not the mickey mouse one ya!);

I dont like using hard cover (its too usual) i dont making invitation in pasar tebet (coz its too common). I phone up one of invitation card's vendor in Bandung (i got them from mouth to mouth promotion) two of friends of mine satisfy with their work, why dont we give it da try? ohiya, also the prices are quite good. Plan to go there sometimes next weekend .. again without cimooonn!
